Whether you work, play or live in Toronto you need to embrace the fact that personal preparedness is an individual responsibility. Emergency responders do a great job keeping people safe, but they can’t do it alone. Take action to prepare for the types of emergencies that could affect you where you live, work and visit.

Being prepared for an emergency starts with having a plan. Make sure everyone in your family knows what to do during and after an emergency.

Your plan should include:

  • Where and how to exit your home safely (doors, windows and stairways)
  • A location, outside your home, where you will meet
  • The location of your emergency kit(s) or go bag(s)
  • The name of a person away from the emergency who can act as your family’s contact if you get separated at any point. Make sure that everyone knows this person’s name, address and telephone number
  • A list of key telephone numbers and addresses
  • The emergency plan at your children’s school / childcare centre / or day program facility
  • A plan for your family in case you are separated – who could your children call for help or for information?

Steps That High-Rise Residents Can Take to Plan for Emergencies

Residents should know:

  • The building superintendent’s name and phone number
  • Locations of fire extinguishers, automated external defibrillator units and oxygen tanks
  • Location of emergency evacuation device(s)
  • Location of emergency exits
  • Who conducts your building’s evacuation drills and how often
  • Where to meet family and roommates if the building is evacuated

Residents are encouraged to set up a buddy system to check in on neighbours, especially the elderly and other residents that might have special needs. We encourage communities/neighbourhoods to identify vulnerable people in their area and do checks on them.

Review and update your plan at least once each year.

Whether you’re just starting to prepare or are a preparedness pro, gathering your emergency supplies isn’t hard. A good rule of thumb is to have supplies for at least 3 days or 72 hours. You’ll probably be surprised at how much you already have.

Your Emergency Kit

  • Three day supply of drinking water (4 litres per person per day) and non-perishable food that meets your family’s dietary needs including food for infants, children, seniors and pets
  • Manual can opening if you pack cans
  • Battery powered or crank radio, flashlight (including batteries) and personal alarm or whistle
  • Aluminum foil, duct tape and plastic wrap to cover vent openings
  • First aid kit, including hand sanitizer
  • Prescription drugs, medical supplies and special equipment for the family
  • In Case of Emergency information sheet about your particular needs, including contact information for your healthcare provider(s), caregiver(s), or personal attendant(s), and other emergency contact numbers including your veterinarian, and a detailed list of all prescriptions and medications

For Children and Infants

  • Formula
  • Bottles
  • Diapers
  • Medications
  • Favourite Toys

For Pets

  • Food, water and bowls
  • Leash/harness and muzzle
  • ID tags and licenses
  • Medications, and vaccination/medical records
  • Blanket and favourite toy(s)
  • Local animal shelter phone numbers

Emergency preparedness does not have to be expensive. There are some simple low cost things you can do that will help you get through emergencies like a widespread power failure. You should try to have some
sort of emergency preparedness kit and a plan to help get you through the first 72 hours when an emergency happens.


4 litres of water per person per day is the ideal amount to have on hand. Having bottled water or water stored in other containers (thoroughly cleaned and sterilized) is a very low cost item to keep on hand.


Have a three-day supply of non-perishable food that meets your dietary needs, including food for infants, children, seniors and animals. If you are able to, put aside one can of food per week until you have 10 cans per person. Buy bigger cans for families and don’t forget to have a manual can opener. Some examples of foods that last up to a year include:

[Here the article breaks off for records of crystals]
'''
1.
# PBE Nd2MgSe4, relaxed
data_Nd2MgSe4
_cell_length_a 7.733
_cell_length_b 9.016
_cell_length_c 13.690
_cell_angle_alpha 99.40
_cell_angle_beta 95.96
_cell_angle_gamma 90.29
_space_group_name_H-M_alt 'P 1'
_space_group_IT_number 1
loop_
_space_group_symop_operation_xyz
'x,y,z'
loop_
_atom_site_label
_atom_site_type_symbol
_atom_site_fract_x
_atom_site_fract_y
_atom_site_fract_z
_atom_site_occupancy
Nd1 Nd 0.131 0.443 0.308 1
Nd2 Nd 0.135 0.960 0.312 1
Nd3 Nd 0.255 0.132 0.000 1
Nd4 Nd 0.366 0.300 0.689 1
Nd5 Nd 0.634 0.700 0.311 1
Nd6 Nd 0.745 0.868 0.000 1
Nd7 Nd 0.865 0.040 0.688 1
Nd8 Nd 0.869 0.557 0.692 1
Mg1 Mg 0.251 0.621 0.994 1
Mg2 Mg 0.365 0.800 0.704 1
Mg3 Mg 0.635 0.200 0.296 1
Mg4 Mg 0.749 0.379 0.006 1
Se1 Se 0.092 0.412 0.100 1
Se2 Se 0.113 0.893 0.104 1
Se3 Se 0.199 0.549 0.623 1
Se4 Se 0.202 0.014 0.627 1
Se5 Se 0.305 0.719 0.384 1
Se6 Se 0.343 0.221 0.376 1
Se7 Se 0.384 0.839 0.894 1
Se8 Se 0.414 0.359 0.897 1
Se9 Se 0.586 0.641 0.103 1
Se10 Se 0.616 0.161 0.106 1
Se11 Se 0.657 0.779 0.624 1
Se12 Se 0.695 0.281 0.616 1
Se13 Se 0.798 0.986 0.373 1
Se14 Se 0.801 0.451 0.377 1
Se15 Se 0.887 0.107 0.896 1
Se16 Se 0.908 0.588 0.900 1
# Symmetry: P-1
# Energy relative to the elements (eV per atom): -1.752

***

2.
# PBE Er4Ge6Rh7, relaxed
data_Er4Ge6Rh7
_cell_length_a 7.255
_cell_length_b 7.255
_cell_length_c 7.255
_cell_angle_alpha 109.47
_cell_angle_beta 109.47
_cell_angle_gamma 109.47
_space_group_name_H-M_alt 'P 1'
_space_group_IT_number 1
loop_
_space_group_symop_operation_xyz
'x,y,z'
loop_
_atom_site_label
_atom_site_type_symbol
_atom_site_fract_x
_atom_site_fract_y
_atom_site_fract_z
_atom_site_occupancy
Er1 Er 0.000 0.000 0.500 1
Er2 Er 0.000 0.500 0.000 1
Er3 Er 0.500 0.000 0.000 1
Er4 Er 0.500 0.500 0.500 1
Ge1 Ge 0.000 0.319 0.319 1
Ge2 Ge 0.000 0.681 0.681 1
Ge3 Ge 0.319 0.000 0.319 1
Ge4 Ge 0.319 0.319 0.000 1
Ge5 Ge 0.681 0.000 0.681 1
Ge6 Ge 0.681 0.681 0.000 1
Rh1 Rh 0.000 0.000 0.000 1
Rh2 Rh 0.250 0.500 0.750 1
Rh3 Rh 0.250 0.750 0.500 1
Rh4 Rh 0.500 0.250 0.750 1
Rh5 Rh 0.500 0.750 0.250 1
Rh6 Rh 0.750 0.250 0.500 1
Rh7 Rh 0.750 0.500 0.250 1
# Symmetry: Im-3m
# Energy relative to the elements (eV per atom): -0.954

***

3.
# PBE Ho6AgGe2S14, relaxed
data_Ho6AgGe2S14
_cell_length_a 9.802
_cell_length_b 9.802
_cell_length_c 5.835
_cell_angle_alpha 90.00
_cell_angle_beta 90.00
_cell_angle_gamma 120.00
_space_group_name_H-M_alt 'P 1'
_space_group_IT_number 1
loop_
_space_group_symop_operation_xyz
'x,y,z'
loop_
_atom_site_label
_atom_site_type_symbol
_atom_site_fract_x
_atom_site_fract_y
_atom_site_fract_z
_atom_site_occupancy
Ho1 Ho 0.024 0.553 0.000 1
Ho2 Ho 0.309 0.113 0.500 1
Ho3 Ho 0.447 0.471 0.000 1
Ho4 Ho 0.529 0.976 0.000 1
Ho5 Ho 0.804 0.691 0.500 1
Ho6 Ho 0.887 0.196 0.500 1
Ag1 Ag 0.667 0.333 0.722 1
Ge1 Ge 0.000 0.000 0.077 1
Ge2 Ge 0.333 0.667 0.580 1
S1 S 0.000 0.000 0.697 1
S2 S 0.091 0.854 0.239 1
S3 S 0.146 0.237 0.239 1
S4 S 0.187 0.429 0.743 1
S5 S 0.242 0.813 0.743 1
S6 S 0.333 0.667 0.201 1
'''
[Here the article continues]

  • Canned food like soups, fruits and vegetables
  • Canned fruit juices
  • Canned nuts
  • Peanut butter and jam
  • Ready-to-eat cereals and uncooked instant cereals
    • Manual can opener – approximately $2
    • Canned food – approximately $1-$3 per can depending on choice

Information / Light

Have a battery powered flashlight and battery or crank radio for information.
Tip: Keep your cell phone charged and always keep a separate list of important contact numbers in case your cell phone loses power.

  • Flashlight / LED Lights: as little as $1 from discount stores (you may also be able to use your cell phone as an emergency light source)
  • Battery operated radio – $20 and up
  • Crank radio – approximately $40 and up
  • Back up charger for cell phones – $5 and up

In addition to the 72 hour preparedness kit, every member of your household should pack a Go Bag – a collection of items you may need in the event of an evacuation.

A Go Bag should be packed in a sturdy, easy-to-carry container such as a backpack or suitcase on wheels. A Go Bag should be easily accessible if you have to leave your home in a hurry. Make sure it is ready to go at all times of the year.

Everyone’s Go Bag will be different and based on individual needs. Consider including the following in yours:

  • Copies of your important documents such as passports, bank account numbers, credit cards, health card, social insurance cards, family records, insurance policies, photo IDs, proof of address, etc.
  • A copy of your In Case of Emergency information sheet
  • A list of all the medications you take and how often
  • Extra set of car and house keys
  • Credit and ATM cards and cash, especially in small denominations
  • Bottled water and non-perishable food, such as energy or granola bars
  • Contact list and meeting place information for your household
  • Child and animal care supplies or other special care items

Other Go Bag Tips

[Crystal structures from another source follow]
____________
Li4MnCo2O7 | PBE with a Hubbard U | relaxed

```
28
Lattice="2.985 0.000 0.000 1.290 4.941 0.000 0.382 1.352 17.200" Properties=species:S:1:pos:R:3 pbc="T T T"
Li 0.000 0.000 0.000
Li 1.523 5.529 8.543
Li 1.670 4.552 13.467
Li 1.465 2.066 1.178
Li 1.637 1.103 6.111
Li 3.091 5.026 11.036
Li 3.319 3.954 16.073
Li 3.035 1.622 3.641
Mn 1.678 2.815 9.785
Mn 1.811 1.798 14.816
Co 1.499 3.847 4.859
Co 2.873 4.348 2.345
Co 3.075 3.329 7.279
Co 3.265 2.247 12.257
O 1.607 5.566 15.265
O 1.544 4.593 6.634
O 1.552 3.112 3.122
O 1.743 3.547 11.624
O 1.620 2.050 7.993
O 1.818 2.640 16.442
O 2.834 5.044 4.176
O 1.812 1.024 12.947
O 2.986 4.102 9.102
O 2.887 3.529 0.813
O 3.289 2.967 14.120
O 3.175 2.552 5.527
O 2.921 0.641 1.905
O 3.361 1.498 10.487
```

Values from the calculation:
Electronic total energy   -5.817 eV/atom
Mass density   4.09 g/cm³
Total moment   4.00 μB/f.u.
Space group   No. 1

* * * * *

1.
DFT (PBE-GGA) results for a relaxed NpH28C12N12O18 crystal.

Computed properties:
ΔH_f (0 K) (eV per atom): -0.9428
VASP energy (eV/f.u.): -462.4
Size of the total moment (Bohr magnetons per cell): 6.04
SG: C2/c, No. 15

abc: 11.678 11.678 12.898
angles: 113.28 113.28 62.78
Fractional coordinates of all 142 atoms:
Np: 0.051 0.949 0.750
Np: 0.949 0.051 0.250
H: 0.007 0.447 0.094
H: 0.029 0.286 0.997
H: 0.046 0.274 0.771
H: 0.068 0.381 0.747
H: 0.119 0.252 0.536
H: 0.144 0.540 0.449
H: 0.170 0.501 0.240
H: 0.171 0.379 0.647
H: 0.218 0.660 0.547
H: 0.252 0.119 0.036
H: 0.265 0.438 0.006
H: 0.268 0.316 0.429
H: 0.274 0.046 0.271
H: 0.286 0.029 0.497
H: 0.316 0.268 0.929
H: 0.331 0.378 0.272
H: 0.340 0.782 0.953
H: 0.378 0.331 0.772
H: 0.379 0.171 0.147
H: 0.381 0.068 0.247
H: 0.410 0.556 0.858
H: 0.417 0.531 0.134
H: 0.438 0.265 0.506
H: 0.444 0.590 0.642
H: 0.447 0.007 0.594
H: 0.460 0.856 0.051
H: 0.469 0.583 0.366
H: 0.499 0.830 0.260
H: 0.501 0.170 0.740
H: 0.531 0.417 0.634
H: 0.540 0.144 0.949
H: 0.553 0.993 0.406
H: 0.556 0.410 0.358
H: 0.562 0.735 0.494
H: 0.583 0.469 0.866
H: 0.590 0.444 0.142
H: 0.619 0.932 0.753
H: 0.621 0.829 0.853
H: 0.622 0.669 0.228
H: 0.660 0.218 0.047
H: 0.669 0.622 0.728
H: 0.684 0.732 0.071
H: 0.714 0.971 0.503
H: 0.726 0.954 0.729
H: 0.732 0.684 0.571
H: 0.735 0.562 0.994
H: 0.748 0.881 0.964
H: 0.782 0.340 0.453
H: 0.829 0.621 0.353
H: 0.830 0.499 0.760
H: 0.856 0.460 0.551
H: 0.881 0.748 0.464
H: 0.932 0.619 0.253
H: 0.954 0.726 0.229
H: 0.971 0.714 0.003
H: 0.993 0.553 0.906
C: 0.008 0.068 0.533
C: 0.019 0.656 0.683
C: 0.068 0.008 0.033
C: 0.158 0.641 0.772
C: 0.176 0.749 0.191
C: 0.193 0.313 0.133
C: 0.251 0.824 0.309
C: 0.313 0.193 0.633
C: 0.341 0.466 0.531
C: 0.344 0.981 0.817
C: 0.359 0.842 0.728
C: 0.466 0.341 0.031
C: 0.534 0.659 0.969
C: 0.641 0.158 0.272
C: 0.656 0.019 0.183
C: 0.659 0.534 0.469
C: 0.687 0.807 0.367
C: 0.749 0.176 0.691
C: 0.807 0.687 0.867
C: 0.824 0.251 0.809
C: 0.842 0.359 0.228
C: 0.932 0.992 0.967
C: 0.981 0.344 0.317
C: 0.992 0.932 0.467
N: 0.066 0.349 0.071
N: 0.188 0.280 0.609
____________

  • Keep cell phone batteries charged and have an alternate battery, car charger or portable battery bank.
  • Keep flashlights where you can find them in the dark.
  • Replenish food and water supplies twice a year.
  • If you store extra medication in your Go Bag, be sure to refill it before it expires.

Here are some tips to be prepared for unexpected medical emergencies:

  • Have your medical history and medications written down and easily accessible for paramedics.
  • Fill out the In Case of Emergency information sheet. Put a copy on your fridge, in your purse, and give one to family members for safekeeping.
  • Write your apartment/condo number, address and apartment access code on a sticker or sticky note and post it near your phone in case you are not the one calling 9‑1‑1.
  • Keep your medications in one location so they are easy to find in the dark.
  • Make sure your medications are always stocked — do not let them run out.
  • Know where your health card is.
  • Have back up power for electronic medical devices like oxygen machines and feeding pumps.
  • Have a first aid kit and make sure it is fully stocked.

If you have special needs, require personal attendant care or use life-sustaining equipment:

  • Arrange in advance for someone to check on you in the event of an emergency and develop a plan with your healthcare provider.
  • Wear a MedicAlert bracelet or carry an identification card.
  • Carry a personal alarm that emits a loud noise to draw attention to you.
  • If you rely on any life-sustaining equipment/apparatus, develop an emergency back-up plan that will ensure the equipment/apparatus is operable in the event of a power outage.
  • If you or a loved one depends on electrically-powered medical equipment, such as a ventilator or kidney dialysis machine, contact Toronto Hydro at 416-542-8000 to be placed on the Life Support Notification Registry.
  • Label your equipment and attach instructions on how to use and transport it.
  • Connect with your health care service provider if you have one.
  • If you live in a high-rise building and require an emergency evacuation chair, request that one be installed on the floor you live on, preferably close to the stairwell (if applicable).
  • Ensure that your neighbours, property managers and community associations are aware of your issues so that they can check on you in the event of an emergency.

Your emergency kit should also include:

  • Prescription drugs, medical supplies and special equipment
  • Information about your special needs or disability
  • Foods that meet your dietary needs
  • A detailed list of all prescriptions and medications

Assisting People with Disabilities or Special Needs

  • Always ask if a person wants or needs your help. Do not touch the person, their service animal or their assistance devices without their permission.
  • Ask if they are injured or have any loss of movement and/or sensation.
  • Call 911 for emergency medical assistance when needed.
  • Do not try to lift, support or assist in moving a person unless you know how to do it safely. Get help from a trained person.
  • Follow instructions posted on special needs equipment and assistive devices.

Preparedness is everybody’s business. Are you and your family prepared for an emergency? What about your neighbourhood? Do you know your neighbours’ emergency plan or how you can help each other during an emergency?

There are steps you can take to help increase your community’s preparedness and resilience.

Before an Emergency Occurs

  • Be prepared
  • Create and test your emergency communications plans
  • Assemble or update emergency supplies
  • Volunteer
  • Take action
  • Spread the word

When an Emergency Occurs

  • Listen for information and follow the instructions given to you by emergency responders or other city officials.
  • Check on family, friends and neighbours.

Is everyone in your group personally prepared? Do you want information on how your group can help build community resiliency?

Before an Emergency Occurs

  • Hold a meeting with your group or organization to define what function or services you might be able to provide during an emergency.
  • Host a preparedness workshop.

When an Emergency Occurs

  • Consider conducting wellness checks on your members.
  • Open your doors to the community as a respite centre.

Landlords have an obligation to maintain habitable conditions in residential buildings. This includes providing essential services like electricity, hot water and heat (during the coldest months of the year), and ensuring that physical conditions do not threaten the life, health or safety of tenants.

Preparing your building(s) and residents for a weather related or other emergency such as a prolonged power outage is critical.

Before an Emergency Occurs

  • Develop an Emergency Plan; communicate it to all tenants and post it throughout the building.
  • Include relocation contingencies, such as location of your nearest identified emergency meeting point, available units in other buildings within your portfolio, transportation for tenants, etc.
  • In your plan be sure to include considerations for security with contact information (site security if the building is evacuated).
  • Implement a resiliency plan to improve the facility’s ability to weather and emergency (enhanced windows, drainage systems etc.).
  • Encourage all residents/tenants to have adequate insurance.
  • Host a preparedness workshop.

Vulnerable Populations

  • Have up-to-date contact information for tenants and their emergency contacts.
  • Have a plan for maintaining necessary on-site services and determine special needs.
  • Have a plan for checking in on your tenants before and after the event to see if assistance is required.

Other Tips for Preparing in Advance

  • Have a Community Bulletin Board where you post regular safety updates and where update will be routinely posted in the event of an emergency.
  • Conduct annual evacuation drills. Designate a meeting point at least 50 metres from your building.
  • Consider implementing ‘Floor Captains’ in your building where a volunteer resident maintains a focus on group safety.
  • Encourage all residents to have a personal preparedness kit that will lessen the impacts of an emergency event.
  • Have a supply of Emergency Lighting devices such as LED flashlights to supplement the building’s emergency lighting
  • Have at least one battery / crank radio available that can be used in a common area for tenants to receive necessary information.
  • Evacuation Chairs for vulnerable residents that may not be mobile enough to easily evacuate the building during an extended power disruption.
  • Install a backup generator – ideally big enough to power all the building’s needs but  minimally to power one elevator to allow all residents to evacuate if necessary.

When an Emergency Occurs


  • Have your property manager or superintendent conduct an immediate assessment of your property post-event.
  • City agencies may contact you to conduct physical inspections of the property to see if there is damage to the property. If the City contacts you by phone or email, respond quickly and appropriately.
  • Activate your security plan.


If your building has sustained damage and you are working on making repairs:

  • Let your tenants know, especially if you are experiencing delays.
  • Keep tenants informed of repair progress and let them know of any intermediary solutions you can provide.
  • If heat is affected, please take any steps recommended by professionals to keep pipes from freezing, as this may cause additional damage to your property and further delay restoration of services.
  • Let tenants know where to pick up mail as you arrange with Canada Post.

Toronto Fire Services provides specific information for building supervisory staff regarding and their responsibilities as it relates to fire safety and the Ontario Fire Code. This includes but is not limited to the following information:

  • Prevention – tips to prevent fires that begin as a result of unattended cooking, candles, smoking, etc
  • Detection – Regular maintenance of fire alarm systems, sprinklers, smoke and CO alarms in units
  • Escape – ensuring exits are clear, procedures are in place, door closers are functional, and regular fire drills are being held

Fire Prevention Tips:

Fire Detection Tips:

  • Smoke alarms should be in all suites, outside all sleeping areas, and batteries should be replaced once every year
  • Carbon Monoxide (CO) alarms should have their batteries replaced yearly and should only be replaced in accordance to the manufacturer’s instructions
  • 4 main sources of CO are the stove, fuel fireplaces, service rooms, and the garage
  • Supervisory staff must never shut down the fire alarm system or silence the fire alarm system before Toronto Fire gives permission

Fire Escape Tips:

  • Know your emergency response duties (Fire Safety Plan)
  • Be familiar with your building and occupants (persons requiring assistance)
  • Be thoroughly familiar with the operation of all fire emergency systems in the building

It is important to remember that an emergency can take place anyplace and at any time. The Get Emergency Ready – At Work preparedness guide addresses the most common emergency situations, including procedures for fire alarms, lockdowns, active attackers, medical emergency and upon receipt of suspicious packages or threatening communications.

Insurance can help you replace what’s lost, and help cover your expenses if you are forced to leave your home during an emergency. Discuss your needs with an insurance representative.

As a home owner or tenant, you are legally responsible for any damage you cause to any part of your building and for unintentional harm caused to others who live in or visit the property. For example:

  • If your known faulty toaster oven starts a fire that damages not only your apartment, but the entire complex, you may have to pay for the damage to your unit and the rest of the complex.
  • If someone slips and falls in your rental condo, you may be held financially responsible for the cost of the injured person’s damages.
  • If your clothing, furniture or electronics are destroyed by fire or water damage, replacement costs add up.

For more information, visit the Insurance Bureau of Canada’s website.